┌──
Entry 1:
The following is a PBE calculation of TbF4 after structural relaxation, from Materials Project.

- uncorrected energy (eV/atom) = -5.64
- crystal system = monoclinic
- ΔH_f (0 K) (eV per atom) = -3.556
- SG = C2/c (15)

Geometry as extended XYZ:
```
30
Lattice="5.6647 6.1767 0.0000 -5.6647 6.1767 0.0000 0.0000 4.3248 6.7491" Properties=species:S:1:pos:R:3 pbc="T T T"
Tb -0.7710 11.4849 4.3284
Tb 0.7710 5.1932 2.4207
Tb -0.7710 7.3556 5.7953
Tb 0.7710 9.3225 0.9538
Tb 3.4132 9.4203 5.0618
Tb -3.4132 7.2579 1.6873
F 0.4714 6.4400 4.2250
F -0.4714 10.2382 2.5241
F 0.4714 12.4006 5.8987
F -0.4714 4.2776 0.8504
F -0.5803 14.8946 6.3454
F 0.5803 1.7835 0.4037
F -0.5803 3.9459 3.7783
F 0.5803 12.7322 2.9708
F -1.1344 9.4203 5.0618
F 1.1344 7.2579 1.6873
F 2.8323 5.2507 3.3746
F -2.8323 3.0883 0.0000
F 1.5225 8.1390 5.6167
F -1.5225 8.5391 1.1324
F 1.5225 10.7015 4.5069
F -1.5225 5.9766 2.2422
F -2.1889 11.6018 6.4180
F 2.1889 5.0764 0.3311
F -2.1889 7.2388 3.7057
F 2.1889 9.4394 3.0434
F 3.9362 7.3818 4.2875
F -3.9362 9.2963 2.4616
F 3.9362 11.4587 5.8362
F -3.9362 5.2194 0.9129
```

=====

Entry 2:
The following is a PBE calculation of TbF3 after structural relaxation, from Materials Project.

- uncorrected energy (eV/atom) = -6.71
- crystal system = orthorhombic
- ΔH_f (0 K) (eV per atom) = -4.465
- SG = Pnma (62)

Geometry as extended XYZ:
```
16
Lattice="4.4460 0.0000 0.0000 0.0000 6.4648 0.0000 0.0000 0.0000 6.9655" Properties=species:S:1:pos:R:3 pbc="T T T"
Tb 4.1728 4.0820 5.2242
Tb 1.9498 5.6152 1.7414
Tb 2.4961 0.8496 5.2242
Tb 0.2732 2.3828 1.7414
F 1.6810 1.0620 3.0427
F 3.9039 2.1704 3.9229
F 0.5420 4.2944 0.4401
F 2.7650 5.4028 6.5255
F 2.6164 3.3786 1.7414
F 0.3934 6.3186 5.2242
F 4.0525 0.1462 1.7414
F 1.8296 3.0862 5.2242
F 1.6810 1.0620 0.4401
F 3.9039 2.1704 6.5255
F 0.5420 4.2944 3.0427
F 2.7650 5.4028 3.9229
```

=====

Entry 3:
The following is a PBE calculation of Tb4F15 after structural relaxation, from Materials Project.

- uncorrected energy (eV/atom) = -5.85
- crystal system = trigonal
- ΔH_f (0 K) (eV per atom) = -3.723
- SG = R-3c (167)

Geometry as extended XYZ:
```
38
Lattice="5.5943 -6.5414 0.0000 5.5943 6.5414 0.0000 -2.0547 0.0000 8.3585" Properties=species:S:1:pos:R:3 pbc="T T T"
Tb 2.2834 0.0000 2.0896
Tb 4.5705 3.7069 2.6470
Tb 3.5431 2.8345 6.8262
Tb 7.8777 0.8724 2.0896
Tb 6.8503 0.0000 6.2689
Tb 1.2561 -0.8724 6.2689
Tb 5.5906 -2.8345 1.5323
Tb 4.5632 -3.7069 5.7115
F 7.8777 -2.7675 2.0896
F 5.5538 -3.0904 3.7871
F 5.3034 1.5715 6.0765
F 2.7793 0.7177 6.8189
F 2.8079 4.9742 6.4558
F 3.4625 -4.6545 3.8577
F 9.4010 -0.7177 2.6397
F 0.5144 0.0042 8.2531
F 2.8030 -4.9699 6.4612
F 5.3656 4.1687 7.0493
F 1.9977 0.0042 4.2846
F 6.3930 2.3727 2.8701
F 2.4352 -1.8870 8.0370
F 3.8353 1.5673 2.2766
F 4.6074 3.4511 0.3921
F 4.5264 -3.4511 7.9664
F 5.2985 -1.5673 6.0819
F 6.6986 1.8870 0.3215
F 2.7408 -2.3727 5.4884
F 7.1360 -0.0042 4.0739
F 3.7682 -4.1687 1.3091
F 6.3308 4.9699 1.8972
F 8.6194 -0.0042 0.1054
F -0.2672 0.7177 5.7188
F 5.6712 4.6545 4.5007
F 6.3258 -4.9742 1.9027
F 6.3544 -0.7177 1.5396
F 3.8304 -1.5715 2.2820
F 3.5800 3.0904 4.5714
F 1.2561 2.7675 6.2689
```

=====

Entry 4:
The following is a PBE calculation of TbZrF7 after structural relaxation, from Materials Project.

- uncorrected energy (eV/atom) = -6.83
- crystal system = monoclinic
- ΔH_f (0 K) (eV per atom) = -4.232
- SG = P2_1 (4)

Geometry as extended XYZ:
```
18
Lattice="4.5393 3.4028 0.8707 2.8523 -4.5671 2.9788 2.4626 -1.2737 -7.8604" Properties=species:S:1:pos:R:3 pbc="T T T"
Tb 6.7181 -1.4911 -2.8184
Tb 2.6567 -1.3062 -1.2844
Zr 6.0751 -1.5852 1.2743
Zr 3.3891 -1.1451 -5.3600
F 6.5123 0.3448 -1.6219
F 4.6138 -1.8293 -2.1451
F 6.4679 -3.7545 -2.9118
F 4.9882 2.5174 -0.7918
F 8.8947 -2.1350 -2.2910
F 2.7257 1.0210 -1.3811
F 7.7534 0.2962 -3.9555
F 4.3198 -1.0707 0.3702
F 7.7468 -2.2947 -4.8049
F 1.6846 -0.4601 0.7129
F 6.8420 -2.1095 -0.5403
F 2.6545 -0.5966 -3.5392
F 5.2858 -1.0152 -4.5777
F 2.3213 -3.1072 0.1358
```
└──
Start at the top of the lines further above and echo each line, ending with the one that has "2.3213 -3.1072".
Entry 1:
The following is a PBE calculation of TbF4 after structural relaxation, from Materials Project.

- uncorrected energy (eV/atom) = -5.64
- crystal system = monoclinic
- ΔH_f (0 K) (eV per atom) = -3.556
- SG = C2/c (15)

Geometry as extended XYZ:
```
30
Lattice="5.6647 6.1767 0.0000 -5.6647 6.1767 0.0000 0.0000 4.3248 6.7491" Properties=species:S:1:pos:R:3 pbc="T T T"
Tb -0.7710 11.4849 4.3284
Tb 0.7710 5.1932 2.4207
Tb -0.7710 7.3556 5.7953
Tb 0.7710 9.3225 0.9538
Tb 3.4132 9.4203 5.0618
Tb -3.4132 7.2579 1.6873
F 0.4714 6.4400 4.2250
F -0.4714 10.2382 2.5241
F 0.4714 12.4006 5.8987
F -0.4714 4.2776 0.8504
F -0.5803 14.8946 6.3454
F 0.5803 1.7835 0.4037
F -0.5803 3.9459 3.7783
F 0.5803 12.7322 2.9708
F -1.1344 9.4203 5.0618
F 1.1344 7.2579 1.6873
F 2.8323 5.2507 3.3746
F -2.8323 3.0883 0.0000
F 1.5225 8.1390 5.6167
F -1.5225 8.5391 1.1324
F 1.5225 10.7015 4.5069
F -1.5225 5.9766 2.2422
F -2.1889 11.6018 6.4180
F 2.1889 5.0764 0.3311
F -2.1889 7.2388 3.7057
F 2.1889 9.4394 3.0434
F 3.9362 7.3818 4.2875
F -3.9362 9.2963 2.4616
F 3.9362 11.4587 5.8362
F -3.9362 5.2194 0.9129
```

=====

Entry 2:
The following is a PBE calculation of TbF3 after structural relaxation, from Materials Project.

- uncorrected energy (eV/atom) = -6.71
- crystal system = orthorhombic
- ΔH_f (0 K) (eV per atom) = -4.465
- SG = Pnma (62)

Geometry as extended XYZ:
```
16
Lattice="4.4460 0.0000 0.0000 0.0000 6.4648 0.0000 0.0000 0.0000 6.9655" Properties=species:S:1:pos:R:3 pbc="T T T"
Tb 4.1728 4.0820 5.2242
Tb 1.9498 5.6152 1.7414
Tb 2.4961 0.8496 5.2242
Tb 0.2732 2.3828 1.7414
F 1.6810 1.0620 3.0427
F 3.9039 2.1704 3.9229
F 0.5420 4.2944 0.4401
F 2.7650 5.4028 6.5255
F 2.6164 3.3786 1.7414
F 0.3934 6.3186 5.2242
F 4.0525 0.1462 1.7414
F 1.8296 3.0862 5.2242
F 1.6810 1.0620 0.4401
F 3.9039 2.1704 6.5255
F 0.5420 4.2944 3.0427
F 2.7650 5.4028 3.9229
```

=====

Entry 3:
The following is a PBE calculation of Tb4F15 after structural relaxation, from Materials Project.

- uncorrected energy (eV/atom) = -5.85
- crystal system = trigonal
- ΔH_f (0 K) (eV per atom) = -3.723
- SG = R-3c (167)

Geometry as extended XYZ:
```
38
Lattice="5.5943 -6.5414 0.0000 5.5943 6.5414 0.0000 -2.0547 0.0000 8.3585" Properties=species:S:1:pos:R:3 pbc="T T T"
Tb 2.2834 0.0000 2.0896
Tb 4.5705 3.7069 2.6470
Tb 3.5431 2.8345 6.8262
Tb 7.8777 0.8724 2.0896
Tb 6.8503 0.0000 6.2689
Tb 1.2561 -0.8724 6.2689
Tb 5.5906 -2.8345 1.5323
Tb 4.5632 -3.7069 5.7115
F 7.8777 -2.7675 2.0896
F 5.5538 -3.0904 3.7871
F 5.3034 1.5715 6.0765
F 2.7793 0.7177 6.8189
F 2.8079 4.9742 6.4558
F 3.4625 -4.6545 3.8577
F 9.4010 -0.7177 2.6397
F 0.5144 0.0042 8.2531
F 2.8030 -4.9699 6.4612
F 5.3656 4.1687 7.0493
F 1.9977 0.0042 4.2846
F 6.3930 2.3727 2.8701
F 2.4352 -1.8870 8.0370
F 3.8353 1.5673 2.2766
F 4.6074 3.4511 0.3921
F 4.5264 -3.4511 7.9664
F 5.2985 -1.5673 6.0819
F 6.6986 1.8870 0.3215
F 2.7408 -2.3727 5.4884
F 7.1360 -0.0042 4.0739
F 3.7682 -4.1687 1.3091
F 6.3308 4.9699 1.8972
F 8.6194 -0.0042 0.1054
F -0.2672 0.7177 5.7188
F 5.6712 4.6545 4.5007
F 6.3258 -4.9742 1.9027
F 6.3544 -0.7177 1.5396
F 3.8304 -1.5715 2.2820
F 3.5800 3.0904 4.5714
F 1.2561 2.7675 6.2689
```

=====

Entry 4:
The following is a PBE calculation of TbZrF7 after structural relaxation, from Materials Project.

- uncorrected energy (eV/atom) = -6.83
- crystal system = monoclinic
- ΔH_f (0 K) (eV per atom) = -4.232
- SG = P2_1 (4)

Geometry as extended XYZ:
```
18
Lattice="4.5393 3.4028 0.8707 2.8523 -4.5671 2.9788 2.4626 -1.2737 -7.8604" Properties=species:S:1:pos:R:3 pbc="T T T"
Tb 6.7181 -1.4911 -2.8184
Tb 2.6567 -1.3062 -1.2844
Zr 6.0751 -1.5852 1.2743
Zr 3.3891 -1.1451 -5.3600
F 6.5123 0.3448 -1.6219
F 4.6138 -1.8293 -2.1451
F 6.4679 -3.7545 -2.9118
F 4.9882 2.5174 -0.7918
F 8.8947 -2.1350 -2.2910
F 2.7257 1.0210 -1.3811
F 7.7534 0.2962 -3.9555
F 4.3198 -1.0707 0.3702
F 7.7468 -2.2947 -4.8049
F 1.6846 -0.4601 0.7129
F 6.8420 -2.1095 -0.5403
F 2.6545 -0.5966 -3.5392
F 5.2858 -1.0152 -4.5777
F 2.3213 -3.1072 0.1358